Tuesday, May 31, 2011


Have you ever been in one of those Bible study classes that was very difficult to listen to? I don't mean the word of the Lord but the one speaking, teaching made the class so difficult and very 'non-understandable'! I feel for the brethren and yet many of them keep a good attitude and endure the hardship of the one teaching. What is even worse that the one teaching is completely clueless they are making things difficult. I guess it is one of the things that really gets under my skin as I speak about this a lot.
Why do those who are in teaching positions not realize what they are dealing with? When you have a study, they don't seem to deal with the study at hand or they try to intellectualize and be scholarly. They think that's what makes a study good. In the process, at times they loose complete sight of the study and the purpose at hand and before you know it, we are on rabbit chases. I recently sat in one study where we never got back to the context and spent 30 minutes of our time talking about things that aren't being taught. Every time I go through something like this it makes me think of Paul telling Timothy, "For some men, straying from these things, have turned aside to fruitless discussion, wanting to be teachers of the Law, even though they do not understand either what they are saying or the matters about which they make confident assertions." (I Tim. 1:6-7)
Teachers are suppose to be speaking for the Lord. They are taking the hearts and faith of the hearers and suppose to help them in purity and building trust. Instead, we get a lot of non-sense applications, fleshly approaches, intellectual lectures and who knows what else. There is so little understanding on how to take a topic or context in a book from the Lord's word and make it a faith building class. There is difficulty it seems on presenting the Lord God before the eyes of the hearers to develop convictions. I am not trying to stomp teachers here. No, I just wished some of our teachers knew how to teach!! It seems to be everywhere you go.
First, a teacher needs to understand themselves about the study! They need to glean from God's word what God is trying to say so the faith they gain is shared with the hearers. Secondly, don't go off on hunting sprees! Just because a word is used in a verse doesn't mean that's what the verse it speaking about so we run off on other verses that has that word in it! Keep with the subject, the context at hand. Thirdly, spend time in prayer. Pray for understanding and insight. Allow the Lord to open your mind and heart to receive so you can give. Finally, keep everything simple and don't lecture! Teach! A teacher is to teach!! Know what you are speaking about in the verses and let them flow.
Remember this above all, "Let not many of you become teachers, my brethren, knowing that as such we will incur a stricter judgment." (Jam. 3:1) That should bring soberness to our thinking in our approach to teaching!


Anonymous said...

**These calculated crystals were left in the entry by mistake:**
+++
Calculated PXRD pattern
Compound: Li2Cu2Si8O19
Radiation: CuKα
Structure: a cell relaxed with PBE
Peak positions follow from Bragg's law for the DFT cell and can differ from measured ones.

Most intense lines, 10° ≤ 2θ ≤ 90°, low angle first:
- (0 1 0), 2θ 13.19, rel. 92
- (0 1 1), 2θ 17.04, rel. 95
- (1 0 0), 2θ 18.92, rel. 42
- (-1 1 1), 2θ 20.38, rel. 51
- (0 0 3), 2θ 23.21, rel. 69
- (1 -1 2), 2θ 24.10, rel. 58
- (1 1 -1), 2θ 25.89, rel. 37
- (1 -2 1), 2θ 26.36, rel. 100
- (1 1 -2), 2θ 27.27, rel. 88
- (0 1 3), 2θ 29.88, rel. 39

```
Li2Cu2Si8O19
1.0
5.056 0.000 0.000
-2.475 6.999 0.000
-1.013 -3.345 11.505
Li Cu Si O
2 2 8 19
Cartesian
0.000 0.000 0.000 Li
-1.253 4.701 3.198 Li
-0.472 2.044 2.276 Cu
1.665 2.695 0.461 Cu
-0.713 -1.343 6.313 Si
-0.835 4.554 0.433 Si
0.674 -1.669 9.135 Si
-0.546 2.641 8.021 Si
0.559 2.991 5.196 Si
2.348 0.161 2.108 Si
1.903 0.110 5.167 Si
2.047 1.224 9.165 Si
-1.607 1.470 8.387 O
-0.388 -1.527 7.888 O
-0.020 -1.876 10.587 O
0.578 -0.780 5.484 O
-0.922 5.875 1.447 O
-0.203 3.227 3.788 O
-0.543 2.848 6.403 O
-0.347 0.906 11.497 O
-0.858 4.032 8.795 O
1.393 1.470 2.015 O
2.395 -0.369 3.679 O
1.550 1.682 5.203 O
1.655 -0.347 9.143 O
0.936 2.167 8.473 O
1.523 4.266 5.552 O
3.097 -0.293 6.186 O
3.804 0.452 1.468 O
3.396 3.401 1.288 O
2.250 1.770 10.703 O
```

~~~~~

Computed X-ray diffraction stick pattern of Pm2TcSn8 for λ = 1.5418 Å (Cu Kα), from a DFT-relaxed cell (PBE, Alexandria).

The 10 most intense peaks (10° ≤ 2θ ≤ 80°), sorted by position:
Position (°2θ)  d_spacing  I (rel.)  hkl
30.22  2.958  35.5  1 1 2
34.44  2.604  100.0  1 1 3
36.56  2.458  18.1  0 0 5
37.70  2.386  57.0  2 0 0
39.68  2.272  9.4  1 1 4
53.53  1.712  24.8  2 0 5
54.38  1.687  20.1  2 2 0
65.97  1.416  31.4  3 1 3
66.93  1.398  15.2  1 1 8
67.32  1.391  12.8  2 2 5

```
11
Lattice="4.7722 0.0000 0.0000 0.0000 4.7722 0.0000 0.0000 0.0000 12.2881" Properties=species:S:1:pos:R:3 pbc="T T T"
Pm 0.0000 0.0000 2.4084
Pm 0.0000 0.0000 9.8797
Tc 0.0000 0.0000 6.1440
Sn 0.0000 2.3861 0.0000
Sn 0.0000 2.3861 4.6513
Sn 0.0000 2.3861 7.6368
Sn 2.3861 0.0000 0.0000
Sn 2.3861 0.0000 4.6513
Sn 2.3861 0.0000 7.6368
Sn 2.3861 2.3861 2.3372
Sn 2.3861 2.3861 9.9509
```

~~~~~

# 1
Starting from a structure optimized by DFT (PBE), the XRD peak list of Y2Ho2CI2Br2Cl was computed for Cu Kα X-rays.
Neutral-atom scattering factors, no anomalous dispersion.

Structural model:
Unit cell a=18.519 b=3.830 c=8.007 alpha=90.00 beta=101.77 gamma=90.00
Space group C2/m (No. 12)
One atom of each set of equivalent atoms:
Y 0.133 0.000 0.071 x4
Ho 0.001 0.500 0.795 x4
C 0.000 0.000 0.000 x2
I 0.172 0.500 0.804 x4
Br 0.155 0.500 0.341 x4
Cl 0.000 0.000 0.500 x2

Largest 10 diffraction maxima, low angle first, 2θ = 10–90°:
2θ (°), d [Å], I (rel.), (hkl)
11.29, 7.839, 382, 0 0 1
22.69, 3.920, 209, 0 0 2
23.74, 3.748, 359, 1 1 0
29.56, 3.022, 533, 6 0 0
32.35, 2.768, 1000, 1 1 -2
33.55, 2.671, 174, 6 0 -2
34.05, 2.633, 335, 5 1 0
44.18, 2.050, 313, 5 1 2
+++


Anonymous said...

Too many in the Lord's church feel that those with ample letters behind their name are the only ones capable of effective preaching and teaching. I have found that to be the opposite in many cases. Those that spend time in the scripture studying seem to come to a deeper understanding than those that pursue understanding of God's word through academia. Painting with a broad brush, I know. Just my observation.